The view from my window

The view from my window
The view from my window

Friday 1 January 2021

Being a human tennis net!

Happy new year everyone. I guess we all hope it'll be better than 2020, and while you can't flip a switch and make everything hunky dory immediately, like everyone else I'm so so ready for this pandemic to be over! I had a quiet night in on my own on new year's eve, which is just the way I like it anyway. The kids went to friends - Jordan and Jen stayed over with another couple - so just four people there - and André went to Max's house and stayed over - so just three in that group. I could relax because I knew they weren't on the roads driving, even though they are sensible. More to the point, we've had a curfew in France for the last few weeks, so between the hours of 20h and 6h we are not allowed to be out, unless there is a valid reason for it. I'm guessing/hoping, therefore, that there were fewer deaths on the road last night because of it so that would be one positive to come out of this bloody pandemic. There have even been talks about lengthening the curfew in certain regions from 18h to 6h but I haven't heard any more about it as yet. Crikey, if this keeps up we'll be allowed to get up in the morning, have breakfast and a pee and then be told to go back to bed!

At midnight I stuck my head out the window to watch the fireworks and I may be imagining it but it seemed to me that there were more fireworks going off than usual. I guess people with big gardens then. I could hear the fireworks in the mountains behind my house, which was lovely as they really echo and sound just like thunder! Other than that I didn't do much. I spent a fair bit of time looking at recipes on Youtube but finally had the bright idea to write the ones that interest me in a notebook and where I spotted them. I have so many recipes I think I might like to try and then can never remember where I saw them! So it only took me how many years to figure that out?

Then I got sucked down the rabbit hole of watching videos about scammers. There was a lovely Youtuber in the Czech Republic showing people how tourists get scammed, particularly in Prague. Then I moved on to an American anti-scammer who used to set himself up to get calls from "Bill Jones" or "Jane Smith" from Amazon or Microsoft to get the "$500 reimbursement they needed to send him". Oddly enough Bill Jones and Jane Smith often had Indian accents or spoke fluent Bangladeshi! Anyhow, he would use a fake screen and "accidentally" allow them to delete all his icons and files and then try to blackmail him into buying Apple gift cards to the tune of $500 before they would "reinstall his computer". The thing is, while they were messing around on his screen he was getting into their computers and deleting their files and/or changing their passwords! In one particular instance he deleted over 2,000 of the scammer's files while pretending to be filling out the required reimbursement form. Incidentally that is how we found out that this particular lot were Bangladeshis because a few commentators translated the cussing that was going on in the background. He obviously loved what he was doing and listening to him laugh while he was playing them at their own game was a treat!

Another anti-scammer was named Jim Browning (I think) and who, I would guess, is from Northern Ireland, judging by his accent. I have no idea how he does what he does - of course I don't. I think I'm a genius for being able to log my walks in excel in km and convert them to miles! Anyhoo, he allows himself to be set up in the same way as the previous guy but while he's playing along with them he is also checking out who they are scamming at the same time. One time he saw that they were in the process of scamming a guy in Canada and watched as he eventually logged into his bank account with Wells Fargo, even though he was rightly very wary. At this point the scammers basically created an interactive picture of his bank account which "showed" them wiping out nearly $9,000 of his savings. It hadn't happened of course but it certainly looked like it had. So the Canadian guy, realizing that he has been scammed, immediately does what they tell him to do and goes to the nearest store to buy four $500 Apple gift vouchers. Now the clerk at the store queried this and tried to stop him but he was so distressed that he said he had no choice. At this point Jim Browning was able to get through to him on the telephone and explain what was happening, that the scammers had not been able to take his savings and walked him through what he needed to do to block them. The distress in this man's voice was palpable so I'm sure he now worships the ground Jim Browning walks on. He also contacted another lady who had sent $38,000 to "a company in Thailand" and when he tried to warn her and her bank she left him a phone message basically telling him to mind his own business. He even managed to send her pictures of the "Thai" guy she spoke to proving that he was actually an Indian but she wouldn't have it. That is, until about a month later, when she got back to him and apologized as she had indeed been scammed. So that, as you can see, is how I ended up staying up until 1.30 a.m. last night!

In other news, thank you for the sweet comments about my mom's lovely knitting. She was indeed a wonderful knitter but she couldn't sew to save her life. As was proven one day when the zip on my dad's black work pants went and she put a new one in as best she could but forgetting to locate it underneath the little flap that covered it and the zip was white - because that was the only one she had! Frankly I'm surprised my dad wasn't struck by lightening in the crown jewels! Then my dad used to like to take my brother-in-law's old police trousers to use as work pants because they were so comfortable. Problem was, my brother-in-law was quite a bit taller and slimmer than my dad, so my mom cut about eight inches off the bottom (again sewing them up with white thread!) and split the seam down the back, cut a triangle from a different fabric and sewed it in to make it fit. My poor dad! I would have thought he might have been the laughing stock but I reckon all the men were pretty much in the same boat, to be honest!

Finally, the other day I went shopping to the Fresh store that I love so much. Just as I was about to walk in I spotted a woman in a long, floor length fur coat, three trowels full of make-up and a bird's nest hair do - she looked like a mobile bearskin rug - and I just knew, knew it was Chantal! You know, the woman who sent my tax information to the tax authorities and who told me it was easy for me to retire as I earned more than her but then went on to tell me how she went to Italy every weekend clothes shopping. Yes, that Chantal! Anyway I tried looking inconspicuous in my jeans and ski jacket (the same as everyone else in the shop except for Chantal) and hiding behind the cauliflowers for a good while because all she ever does is whinge and I just wasn't in the mood. In the end, I knew I couldn't avoid her forever so had to walk up and say hi. And that was when I spotted Mrs. Tupperware, so called because she used to sell - you guessed it! Now I have more time for this lady as she has had some truly sad events in her life but she also never shuts up, is incredibly nosy and indiscreet and bangs on about people I've never met and have no idea who they are! So I introduced the two of them, and ended up becoming a human tennis net stuck between Chantal and Mrs. Tupperware playing the final volley of "I was there for 31 years and they treated me like shit" and "and then I spoke to Marie-Jo and she thought she might have given it to Guy but Guy said he hadn't seen her that night". Neither of them were interested in what the other was saying, and just talked over each other. And to think, all I wanted to do was buy a cauliflower!

Probably a good impression of what Chantal looked like,
minus the top hat!

How everyone else was dressed!


  1. I hate running into people I don't want to talk to at the grocery store. It's one of the dreads of my life.
    Oh well. It does happen.
    Happy New Year, woman! I hope you have joy in it.

    1. Neither of these ladies talk to you - they both talk at you and over you, although I have more time for Mrs. Tupperware. Chantal told me she is now retired and as she lives close to me I'm going to have to start going out in camouflage. But here's to a hopefully much better new year anyway eh!

• Misplaced data records:
********
[1]
{
  "formula": "ErAlS",
  "functional": "PBE-GGA",
  "state": "optimized geometry",
  "raw_formation_energy_ev_per_atom": -1.047,
  "total_energy_ev_per_atom": -5.191,
  "crystal_system": "trigonal",
  "lattice": [[4.384, 0.000, 0.000], [2.192, 3.796, 0.000], [2.192, 1.265, 8.330]],
  "species": ["Er", "Er", "Al", "Al", "S", "S"],
  "frac_coords": [[0.592, 0.592, 0.223], [0.408, 0.408, 0.777], [0.836, 0.836, 0.492], [0.164, 0.164, 0.508], [0.293, 0.293, 0.121], [0.707, 0.707, 0.879]]
}

=====

[2]
{
  "formula": "TaAl2Se",
  "functional": "PBE-GGA",
  "state": "optimized geometry",
  "raw_formation_energy_ev_per_atom": -0.022,
  "total_energy_ev_per_atom": -5.728,
  "crystal_system": "orthorhombic",
  "lattice": [[5.379, -0.005, -0.002], [2.239, 4.891, 0.002], [-3.173, -3.435, 2.658]],
  "species": ["Al", "Al", "Ta", "Se"],
  "frac_coords": [[0.001, 0.001, 0.000], [0.745, 0.245, 0.500], [0.264, 0.764, 0.500], [0.491, 0.491, 0.000]]
}

=====

[3]
{
  "formula": "PrInCuPd",
  "functional": "PBE-GGA",
  "state": "optimized geometry",
  "e_form_ev_per_atom": -0.459,
  "total_energy_ev_per_atom": -4.661,
  "crystal_system": "cubic",
  "lattice": [[4.902, 0.000, 0.000], [2.451, 4.245, 0.000], [2.451, 1.415, 4.002]],
  "species": ["Pd", "Pr", "In", "Cu"],
  "frac_coords": [[0.750, 0.750, 0.750], [0.000, 0.000, 0.000], [0.500, 0.500, 0.500], [0.250, 0.250, 0.250]]
}

=====

[4]
{
  "formula": "MnTeOs",
  "functional": "PBE-GGA",
  "state": "optimized geometry",
  "raw_formation_energy_ev_per_atom": 0.569,
  "total_energy_ev_per_atom": -7.278,
  "crystal_system": "hexagonal",
  "polymorph_energy_kj_per_mol_atoms": 31.7,
  "lattice": [[4.425, 0.000, 0.000], [-2.212, 3.832, 0.000], [0.000, 0.000, 3.107]],
  "species": ["Os", "Mn", "Te"],
  "frac_coords": [[0.667, 0.333, 0.500], [0.000, 0.000, 0.000], [0.333, 0.667, 0.500]]
}

=====

[5]
{
  "formula": "SrCaCuAu",
  "functional": "PBE-GGA",
  "state": "optimized geometry",
  "e_form_ev_per_atom": -0.456,
  "total_energy_ev_per_atom": -3.221,
  "crystal_system": "orthorhombic",
  "lattice": [[-2.962, 2.951, 1.213], [-3.259, -2.919, -0.856], [1.775, -3.358, 4.693]],
  "species": ["Ca", "Au", "Cu", "Sr"],
  "frac_coords": [[0.861, 0.500, 0.723], [0.564, 0.500, 0.127], [0.431, 0.000, 0.862], [0.144, 0.000, 0.288]]
}

=====

[6]
{
  "formula": "KPa2S6",
  "functional": "PBE-GGA",
  "state": "optimized geometry",
  "raw_formation_energy_ev_per_atom": -1.293,
  "total_energy_ev_per_atom": -6.277,
  "crystal_system": "monoclinic",
  "polymorph_energy_kj_per_mol_atoms": 0.0,
  "lattice": [[5.474, 0.000, 0.000], [2.737, 6.613, -0.891], [2.737, 1.666, 7.543]],
  "species": ["S", "S", "S", "S", "S", "S", "Pa", "Pa", "K"],
  "frac_coords": [[0.376, 0.655, 0.593], [0.954, 0.891, 0.200], [0.624, 0.345, 0.407], [0.293, 0.348, 0.066], [0.707, 0.652, 0.934], [0.046, 0.109, 0.800], [0.183, 0.728, 0.907], [0.817, 0.272, 0.093], [0.000, 0.500, 0.500]]
}

=====

[7]
{
  "formula": "CsCeBr2Cl",
  "functional": "PBE-GGA",
********

  2. Very descriptive of Chantal - I can just imagine her! LOL

    1. She almost defies description - both physically and verbally. She was in the lift once when my relatively new boss and I got in. When she got out he just stared at me and said "what on earth was that?"

  3. Thankfully the Chantals of this world are relatively few in number, it's just a shame we've all met them! I guess that unless life has to be lived behind cauliflowers to avoid them, it's inevitable. Happy New Year!

    1. Before Mrs. Tupperware arrived Chantal told me she had applied for 6 jobs in-house and "hadn't been given a chance at any of them". I worked in HR and knew damn well that nobody would take her because she was so thoroughly unpleasant! Oh dear, I think you might be right about the wig and glasses. And happy new year to you too!

  4. I have a sister who talks like Mrs. Tupperware. My sister has a brain injury which we didn't know about until she was in her forties. She was hit by a truck when she was 12 and was in a coma for a week. No CT or MRI scans in those days but years later she had a scan because of her headaches and she has a brain injury. No filter at all, never stops talking, keeps detailed notes of everything, everyday.

    I find it amazing that people still wear fur coats. Wow. Good luck grocery shopping in the future, perhaps a wig and dark glasses?

    1. I don't think Mrs. Tupperware is unpleasant but she never shuts up. One time I thought it might be because she lives alone, having lost her husband, but I know for a fact she was like that before he died so while I will stop and talk to her I don't want her phoning my home constantly or ringing my doorbell if I don't answer my phone - like she does to my friend and keeps her up half the evening babbling away about everything and nothing. She does have friends though thankfully. And I agree with you about fur coats but if she wants to wear them that's up to her. It just looked so out of place!

## The piece is interrupted by data records
********
Entry 1:
# InCl2F | Alexandria | PBE | optimized geometry
data_InCl2F
_chemical_formula_sum 'In4 Cl8 F4'
_cell_length_a 9.340
_cell_length_b 9.340
_cell_length_c 4.261
_cell_angle_alpha 90.00
_cell_angle_beta 90.00
_cell_angle_gamma 90.00
_space_group_name_H-M_alt 'I -4 2 d'
_space_group_IT_number 122
_space_group_name_Hall 'I -4 2bw'
loop_
_atom_site_label
_atom_site_type_symbol
_atom_site_fract_x
_atom_site_fract_y
_atom_site_fract_z
In1 In 0.000 0.000 0.000
Cl1 Cl 0.098 0.250 0.125
F1 F 0.000 0.000 0.500
# Energy relative to the elements, uncorrected (eV per formula unit): -5.7
# Electronic total energy (eV/cell): -56.1

---

Entry 2:
# In3ClF | Alexandria | PBE | optimized geometry
data_In3ClF
_chemical_formula_sum 'In3 Cl1 F1'
_cell_length_a 5.234
_cell_length_b 5.234
_cell_length_c 5.234
_cell_angle_alpha 90.00
_cell_angle_beta 90.00
_cell_angle_gamma 90.00
_space_group_name_H-M_alt 'P m -3 m'
_space_group_IT_number 221
_space_group_name_Hall '-P 4 2 3'
loop_
_atom_site_label
_atom_site_type_symbol
_atom_site_fract_x
_atom_site_fract_y
_atom_site_fract_z
In1 In 0.000 0.000 0.500
Cl1 Cl 0.500 0.500 0.500
F1 F 0.000 0.000 0.000
# Energy relative to the elements, uncorrected (eV per formula unit): -3.5
# Electronic total energy (eV/cell): -15.4

---

Entry 3:
# In2ClF | Alexandria | PBE | optimized geometry
data_In2ClF
_chemical_formula_sum 'In8 Cl4 F4'
_cell_length_a 8.802
_cell_length_b 4.140
_cell_length_c 11.885
_cell_angle_alpha 90.00
_cell_angle_beta 90.00
_cell_angle_gamma 90.00
_space_group_name_H-M_alt 'P n m a'
_space_group_IT_number 62
loop_
_space_group_symop_operation_xyz
'x,y,z'
'-x,-y,-z'
'-x+1/2,-y,z+1/2'
'x+1/2,y,-z+1/2'
'x+1/2,-y+1/2,-z+1/2'
'-x+1/2,y+1/2,z+1/2'
'-x,y+1/2,-z'
'x,-y+1/2,z'
loop_
_atom_site_label
_atom_site_type_symbol
_atom_site_fract_x
_atom_site_fract_y
_atom_site_fract_z
In1 In 0.049 0.250 0.208
In2 In 0.192 0.250 0.529
Cl1 Cl 0.206 0.250 0.823
F1 F 0.025 0.750 0.596
# Energy relative to the elements, uncorrected (eV per formula unit): -5.0
# Electronic total energy (eV/cell): -56.7

---

Number 1: distance to the lowest polymorph of the same formula 0.57 eV/f.u., M_tot 0.000 μB/f.u.. Number 2: distance to the lowest polymorph of the same formula 0.00 eV/f.u., M_tot 0.000 μB/f.u.. Number 3: distance to the lowest polymorph of the same formula 0.01 eV/f.u., M_tot 0.000 μB/f.u..

* * * * *

1.
## MgAlTl (PBE)

Data for MgAlTl after structural relaxation.

The structure in extended XYZ format:
```
6
Lattice="3.2621 0.0000 0.0000 0.0040 4.4516 0.0000 1.6066 0.0145 9.8332" Properties=species:S:1:pos:R:3 pbc="T T T"
Mg 0.8030 1.1204 3.0026
Mg 4.0698 3.3457 6.8306
Al 2.4376 1.1210 5.6543
Al 2.4352 3.3451 4.1789
Tl 2.4323 1.1199 8.7476
Tl 2.4405 3.3462 1.0856
```

* SG: P-1, No. 2
* electronic total energy: -2.482 eV per atom

=====

2.
## MgAl3Tl (PBE)

Data for MgAl3Tl after structural relaxation.

The structure in extended XYZ format:
```
5
********

  5. That scammer stuff sounds scary. I didn't make seeing the new year in. Like you I'm so so wanting this whole pandemic thing to end.

    1. I think the scammer stuff IS scary because they are so good at what they do and even people who are wary (like the Canadian guy) can get sucked in. Lord only knows what they can do to older people who are maybe not quite all there. Rotten bastards all of them!

  6. I have an MacBook Air (Apple) so I'm not sure how this would work on your computer, but when I see a recipe I want to save I simply "bookmark" it to find again later (there's even a search feature within the bookmark, as I now probably have over 100 recipes saved).

    Happy New Year!

    1. Hi Bobbie, I do actually bookmark my recipes but I use a laptop and don't want to carry it downstairs to use. Plus I find it easier to use a printed version that I can put in my "recipes" file if I like them - yeah, I know, I'm a dinosaur. I have an ipad that I use when I travel but it's ancient and I haven't been much further than my village for the last how long so haven't used it for ages. Still, I'm finding some nice new recipes and I have someone to try them out on so life's pretty good at the moment!

### Records of crystals, kept here for reference
Entry 1:
KNaTi2Cr: optimized geometry, PBE.

POSCAR file:
```
KNaTi2Cr
1.0
-3.357 2.852 2.864
-4.056 -3.378 -1.390
1.046 -2.982 4.197
Ti K Na Cr
2 1 1 1
direct
0.000 0.000 0.500
0.500 0.000 0.000
0.000 0.500 0.000
0.000 0.000 0.000
0.500 0.500 0.500
```

* formation enthalpy at 0 K: 177.2 kJ/mol of atoms
* SG: P4/mmm, No. 123
* energy: -18.6 eV/cell

=====

Entry 2:
KNb2Cr: optimized geometry, PBE.

POSCAR file:
```
KNb2Cr
1.0
2.483 -3.831 -1.145
0.313 -3.592 3.025
-2.213 -4.050 -0.920
Nb Cr K
2 1 1
direct
0.750 0.750 0.750
0.250 0.250 0.250
0.500 0.500 0.500
0.000 0.000 0.000
```

* formation enthalpy at 0 K: 143.2 kJ/mol of atoms
* E above lowest polymorph: 0.0000 eV/atom
* SG: Fm-3m, No. 225
* energy: -24.9 eV/cell


Record 1
DFT (SCAN) results for La2TiCoO6 at its PBEsol-relaxed geometry.

Results
Its space-group type is No. 14. The calculation puts the uncorrected formation energy at -3.20 eV/atom.

POSCAR file:
```
La2TiCoO6
1.0
5.4748 0.0000 0.0000
0.0000 5.4754 0.0000
-5.4744 0.0000 7.7022
La Ti Co O
4 2 2 12
Direct
0.2456 0.0305 0.2511
0.2456 0.4695 0.7511
0.7544 0.5305 0.2489
0.7544 0.9695 0.7489
0.0000 0.0000 0.5000
0.0000 0.5000 0.0000
0.5000 0.0000 0.0000
0.5000 0.5000 0.5000
0.1797 0.2196 0.9634
0.1797 0.2804 0.4634
0.2430 0.7171 0.9639
0.2430 0.7829 0.4639
0.3176 0.0115 0.7491
0.3176 0.4885 0.2491
0.6824 0.5115 0.7509
0.6824 0.9885 0.2509
0.7570 0.2171 0.5361
0.7570 0.2829 0.0361
0.8203 0.7196 0.5366
0.8203 0.7804 0.0366
```


Record 2
DFT (SCAN) results for LaCoOs2 at its PBEsol-relaxed geometry.

Results
The calculation puts the formation energy at 14.407 kcal/mol of atoms. Its space-group type is No. 44. The distance to the lowest polymorph of the same formula comes out at 124.8 meV per atom.

POSCAR file:
```
LaCoOs2
1.0
-1.4442 2.4381 4.7656
1.4442 -2.4381 4.7656
1.4442 2.4381 -4.7656
La Co Os
1 1 2
Direct
0.0000 0.0000 0.0000
0.7270 0.2270 0.5000
0.2831 0.7831 0.5000
0.5106 0.5106 0.0000
```


Record 3
DFT (SCAN) results for LaCoOs2 at its PBEsol-relaxed geometry.

Results
The calculation puts the formation energy at 11.528 kcal/mol of atoms. Its space-group type is No. 10. The distance to the lowest polymorph of the same formula comes out at 0.0 meV per atom.

POSCAR file:
```
LaCoOs2
1.0
2.8451 0.0000 0.0000
0.0000 4.3404 0.0000
-1.1186 0.0000 5.4616
La Co Os
1 1 2
Direct
0.0000 0.0000 0.0000
0.5000 0.0000 0.5000
0.3196 0.5000 0.6951
0.6804 0.5000 0.3049
```


Record 4
DFT (SCAN) results for LaCo2P2 at its PBEsol-relaxed geometry.

Results
The calculation puts the formation energy at -22.920 kcal/mol of atoms. Its space-group type is No. 139.

POSCAR file:
```
LaCo2P2
1.0
-1.8492 1.8492 5.6167
1.8492 -1.8492 5.6167
1.8492 1.8492 -5.6167
La Co P
1 2 2
Direct
0.0000 0.0000 0.0000
0.2500 0.7500 0.5000
0.7500 0.2500 0.5000
0.3541 0.3541 0.0000
0.6459 0.6459 0.0000
```


Record 5
DFT (SCAN) results for LaPrCo4P4 at its PBEsol-relaxed geometry.

Results

  7. Happy New Year!! Mine NYE was quiet. The dogs and I went to be around 2230.

    We actually deal with scammers quite often in the store, or at least their victims comping to buy gift cards. That must be a favorite scam.

    1. I sincerely hope forcing people to downsize Christmas and New Year will result in fewer infections but who knows. I'm curious though, do you ever get to prevent people from buying these gift cards?

  8. I too bookmark recipes but like you I prefer a written version in fact I'm now trying to work out how to categorise my recipes within the bookmark! I now have so many bookmarked it would be handy to be able to put them into catergories now but I dont know if that's a thing! I should just sit down and try it shouldn't I?
    I thought I'd been scammed in October by a bra company on Facebook. They stated very clearly you could get a full refund from them if it didn't fit, it didn't fit and trying to get the refund drove me to distraction. Credit card companies don't make it easy to claim either! I eventually got most of my money back after badgering them and quoting European Distance Selling laws to them, I also reported them to Facebook and Instagram. I won't be ordering from anyone on Facebook again! x

    1. I find whichever recipe appeals to me at the moment I then print it and put it in my file if we like it. I'm having some success lately - guess I just stumbled across a few good sites. I'm glad you got your money back for those bras. I would report them to FB also - it seems to be one of the few ways to get your money back doesn't it!

  9. I’ve gotten much better saying a pleasant hello and moving on, but have been cornered before! I’m glad you enjoyed your night- we too had a quiet, but not bad NYE. Your mom’s seeing sounds like mine.

    1. These two particular ladies are very good at cornering you, so I put up with it for a while and then said I had to get back because André needed my car!! So I guess your mom couldn't sew then either!

  10. Happy New Year! We had a few fireworks around the neighbourhood but thankfully not many. I didn't even try to watch them.

    The anti-scammers sound wonderful to me. Although my Dad had no computer, he used to get phone calls from people asking for money constantly. The last month before he went into the nursing home in 2006, he spent more than his monthly pension sending money to various "charities". When he went into care, he granted me power of attorney and I took away his cheque book!

    Take care and stay well!

    1. Those scammers are just wicked aren't they - but then they don't care either. I'm glad you were able to get his cheque book off him. I think sometimes the solution is to get rid of the home phone also but I think they can always find a way around it too!
